Activity
Could you quote the notes below from the first line to the one with "1.725 -1.077" with every line break kept?

Listing
/*
Formula: C31H37N2OSr
Source: the Open Molecules 2025 dataset
Level of theory: ωB97M-V/def2-TZVPD

Values from the calculation:
* net charge: -1
* energy relative to the best compared isomer or geometry (same formula, charge and spin): 0.0 kcal per mole
* LUMO: 1.99 eV
* gap between HOMO and LUMO: 5.039 eV
* electronic energy: -1418.9133 a.u.

```
72
Properties=species:S:1:pos:R:3:forces:R:3
C -0.397 1.537 2.403 -0.303 0.364 -0.064
C 0.359 2.242 1.452 -0.494 0.138 -0.043
C -0.400 2.362 0.269 -0.261 0.127 -0.026
H 1.330 2.688 1.621 0.014 -0.212 -0.073
C -1.667 1.753 0.502 -0.257 0.130 0.283
C -1.656 1.232 1.834 -0.267 0.492 -0.324
H -2.485 1.669 -0.219 0.139 0.146 0.272
C 2.086 -1.585 1.143 0.484 0.140 -0.360
C 2.513 -0.246 1.360 -0.036 -0.705 -0.642
C 2.588 0.390 0.101 0.008 0.051 0.130
H 2.790 0.189 2.310 -0.106 0.016 -0.142
C 2.191 -0.503 -0.914 0.022 -0.244 0.958
C 1.924 -1.742 -0.265 -0.095 -0.585 0.039
H -0.112 2.944 -0.606 -0.070 -0.236 0.103
H -2.439 0.637 2.307 0.175 0.264 -0.087
H -0.090 1.319 3.420 -0.075 -0.097 -0.311
H 1.528 -2.632 -0.768 0.328 0.151 0.233
H 2.935 1.404 -0.062 -0.173 -0.035 0.060
H 1.909 -2.338 1.919 0.142 0.391 -0.450
Sr -0.323 -0.521 0.376 1.260 0.896 1.809
C 2.061 -0.231 -2.387 -0.152 -0.078 0.478
C 2.585 -1.467 -3.117 0.143 0.241 -0.457
C 2.859 1.024 -2.753 -0.091 -0.091 -0.339
H 3.606 -1.680 -2.789 -0.131 -0.007 0.038
H 2.565 -1.289 -4.187 0.128 -0.178 -0.103
H 1.961 -2.334 -2.902 0.040 -0.050 0.023
H 3.911 0.903 -2.482 -0.120 -0.021 0.011
H 2.475 1.924 -2.260 -0.011 -0.179 0.075
H 2.791 1.182 -3.828 0.098 0.085 -0.162
C 0.559 0.026 -2.691 0.047 0.204 -0.569
C 0.213 0.203 -4.174 -0.603 0.308 0.455
H 0.248 0.948 -2.173 0.089 -0.241 0.077
H -0.087 -0.805 -2.333 0.344 0.143 -0.162
O 0.910 -0.165 -5.093 0.134 -0.052 -0.414
N -0.991 0.816 -4.437 -0.412 -0.238 -0.084
C -1.924 1.421 -3.496 0.381 -0.455 -0.134
H -1.222 0.880 -5.421 0.213 -0.002 0.184
C -1.577 2.853 -3.156 -0.095 0.362 0.110
C -2.444 3.560 -2.322 0.235 0.162 -0.154
H -3.331 3.052 -1.955 0.053 0.169 0.078
C -2.172 4.879 -1.973 0.080 -0.061 -0.161
H -2.858 5.412 -1.317 0.186 -0.079 -0.108
C -1.026 5.508 -2.469 -0.009 -0.231 -0.082
H -0.817 6.544 -2.207 -0.016 -0.208 -0.014
C -0.157 4.806 -3.307 -0.177 0.014 0.076
H 0.740 5.282 -3.708 -0.273 -0.084 0.168
C -0.435 3.483 -3.653 -0.084 -0.059 0.021
H 0.231 2.940 -4.325 -0.144 0.179 0.250
H -1.961 0.803 -2.586 0.031 0.284 -0.107
H -2.935 1.360 -3.923 0.270 0.082 0.021
C -1.309 -3.309 0.761 0.935 -0.202 0.518
N -1.740 -3.800 2.061 -0.675 0.237 -0.997
C -0.821 -4.762 2.626 0.178 0.129 -0.198
C -2.199 -2.738 2.980 -0.289 -0.848 -0.029
C -1.141 -2.205 3.877 0.168 -0.184 2.053
C -1.132 -2.641 5.218 -0.201 -0.229 -0.131
C -0.111 -2.255 6.087 0.334 0.377 -0.314
C 0.909 -1.403 5.602 -0.121 0.145 -0.553
C 0.877 -0.957 4.252 -0.617 -1.202 2.267
C -0.155 -1.366 3.432 0.064 0.751 -3.222
H -1.011 -4.153 0.119 -0.402 0.132 0.074
H -0.339 -2.749 0.897 -0.743 -0.407 -0.233
H -2.124 -2.728 0.254 0.611 -0.301 0.409
H 0.190 -4.352 2.816 -0.232 -0.035 0.062
H -1.226 -5.140 3.571 0.113 0.005 -0.167
H -0.721 -5.580 1.901 -0.004 -0.055 0.234
H -2.683 -1.960 2.370 0.107 -0.097 0.184
H -2.954 -3.228 3.608 -0.234 0.230 -0.080
H -1.938 -3.318 5.545 0.376 0.254 0.158
H -0.105 -2.605 7.123 0.032 0.132 -0.299
H 1.725 -1.077 6.262 -0.328 -0.193 -0.113
H 1.648 -0.307 3.884 0.335 0.250 -0.004
```
Positions in Å, forces in eV/Å.

~~~~~

The following is a DFT calculation (ωB97M-V with the def2-TZVPD basis set) of C34H51O26Pt as an isolated structure.

- Relative energy (zero: lowest compared OMol25 entry of this formula, charge and spin): 283.97 kJ/mol
- Lowest unoccupied orbital energy (spin up / spin down): -5.475 / -6.501 eV
- HOMO-LUMO gap (spin up / spin down): 6.669 / 5.643 eV
- HOMO (spin up / spin down): -12.144 / -12.144 eV

ORCA input file:
```
! RIJCOSX wB97M-V def2-TZVPD def2/J DEFGRID3
* xyz 1 3
Pt 1.521 -1.784 -1.190
C -1.188 -0.093 1.404
C -0.152 -0.814 0.581
O 0.894 -0.250 0.239
O -0.352 -1.963 0.145
*/

Done
Formula: C31H37N2OSr
Source: the Open Molecules 2025 dataset
Level of theory: ωB97M-V/def2-TZVPD

Values from the calculation:
* net charge: -1
* energy relative to the best compared isomer or geometry (same formula, charge and spin): 0.0 kcal per mole
* LUMO: 1.99 eV
* gap between HOMO and LUMO: 5.039 eV
* electronic energy: -1418.9133 a.u.

```
72
Properties=species:S:1:pos:R:3:forces:R:3
C -0.397 1.537 2.403 -0.303 0.364 -0.064
C 0.359 2.242 1.452 -0.494 0.138 -0.043
C -0.400 2.362 0.269 -0.261 0.127 -0.026
H 1.330 2.688 1.621 0.014 -0.212 -0.073
C -1.667 1.753 0.502 -0.257 0.130 0.283
C -1.656 1.232 1.834 -0.267 0.492 -0.324
H -2.485 1.669 -0.219 0.139 0.146 0.272
C 2.086 -1.585 1.143 0.484 0.140 -0.360
C 2.513 -0.246 1.360 -0.036 -0.705 -0.642
C 2.588 0.390 0.101 0.008 0.051 0.130
H 2.790 0.189 2.310 -0.106 0.016 -0.142
C 2.191 -0.503 -0.914 0.022 -0.244 0.958
C 1.924 -1.742 -0.265 -0.095 -0.585 0.039
H -0.112 2.944 -0.606 -0.070 -0.236 0.103
H -2.439 0.637 2.307 0.175 0.264 -0.087
H -0.090 1.319 3.420 -0.075 -0.097 -0.311
H 1.528 -2.632 -0.768 0.328 0.151 0.233
H 2.935 1.404 -0.062 -0.173 -0.035 0.060
H 1.909 -2.338 1.919 0.142 0.391 -0.450
Sr -0.323 -0.521 0.376 1.260 0.896 1.809
C 2.061 -0.231 -2.387 -0.152 -0.078 0.478
C 2.585 -1.467 -3.117 0.143 0.241 -0.457
C 2.859 1.024 -2.753 -0.091 -0.091 -0.339
H 3.606 -1.680 -2.789 -0.131 -0.007 0.038
H 2.565 -1.289 -4.187 0.128 -0.178 -0.103
H 1.961 -2.334 -2.902 0.040 -0.050 0.023
H 3.911 0.903 -2.482 -0.120 -0.021 0.011
H 2.475 1.924 -2.260 -0.011 -0.179 0.075
H 2.791 1.182 -3.828 0.098 0.085 -0.162
C 0.559 0.026 -2.691 0.047 0.204 -0.569
C 0.213 0.203 -4.174 -0.603 0.308 0.455
H 0.248 0.948 -2.173 0.089 -0.241 0.077
H -0.087 -0.805 -2.333 0.344 0.143 -0.162
O 0.910 -0.165 -5.093 0.134 -0.052 -0.414
N -0.991 0.816 -4.437 -0.412 -0.238 -0.084
C -1.924 1.421 -3.496 0.381 -0.455 -0.134
H -1.222 0.880 -5.421 0.213 -0.002 0.184
C -1.577 2.853 -3.156 -0.095 0.362 0.110
C -2.444 3.560 -2.322 0.235 0.162 -0.154
H -3.331 3.052 -1.955 0.053 0.169 0.078
C -2.172 4.879 -1.973 0.080 -0.061 -0.161
H -2.858 5.412 -1.317 0.186 -0.079 -0.108
C -1.026 5.508 -2.469 -0.009 -0.231 -0.082
H -0.817 6.544 -2.207 -0.016 -0.208 -0.014
C -0.157 4.806 -3.307 -0.177 0.014 0.076
H 0.740 5.282 -3.708 -0.273 -0.084 0.168
C -0.435 3.483 -3.653 -0.084 -0.059 0.021
H 0.231 2.940 -4.325 -0.144 0.179 0.250
H -1.961 0.803 -2.586 0.031 0.284 -0.107
H -2.935 1.360 -3.923 0.270 0.082 0.021
C -1.309 -3.309 0.761 0.935 -0.202 0.518
N -1.740 -3.800 2.061 -0.675 0.237 -0.997
C -0.821 -4.762 2.626 0.178 0.129 -0.198
C -2.199 -2.738 2.980 -0.289 -0.848 -0.029
C -1.141 -2.205 3.877 0.168 -0.184 2.053
C -1.132 -2.641 5.218 -0.201 -0.229 -0.131
C -0.111 -2.255 6.087 0.334 0.377 -0.314
C 0.909 -1.403 5.602 -0.121 0.145 -0.553
C 0.877 -0.957 4.252 -0.617 -1.202 2.267
C -0.155 -1.366 3.432 0.064 0.751 -3.222
H -1.011 -4.153 0.119 -0.402 0.132 0.074
H -0.339 -2.749 0.897 -0.743 -0.407 -0.233
H -2.124 -2.728 0.254 0.611 -0.301 0.409
H 0.190 -4.352 2.816 -0.232 -0.035 0.062
H -1.226 -5.140 3.571 0.113 0.005 -0.167
H -0.721 -5.580 1.901 -0.004 -0.055 0.234
H -2.683 -1.960 2.370 0.107 -0.097 0.184
H -2.954 -3.228 3.608 -0.234 0.230 -0.080
H -1.938 -3.318 5.545 0.376 0.254 0.158
H -0.105 -2.605 7.123 0.032 0.132 -0.299
H 1.725 -1.077 6.262 -0.328 -0.193 -0.113